• Contents:
/*
{
  "formula": "C2H8NO",
  "method": "ωB97M-V/def2-TZVPD",
  "symbols": ["O", "N", "C", "C", "H", "H", "H", "H", "H", "H", "H", "H"],
  "positions_angstrom": [[0.822154, -2.107924, 0.466483], [-0.712502, -0.017689, -0.259370], [-0.912845, 0.795474, 0.992581], [0.452101, 0.450911, -1.131337], [0.834330, -2.907991, -0.066150], [-0.066852, -0.825658, 0.135394], [0.365184, 1.526082, -1.357562], [-1.094915, 1.869635, 0.732238], [0.552183, -0.308490, -2.065324], [1.440350, 0.373508, -0.545897], [0.029641, 0.787948, 1.630040], [-1.708829, 0.364193, 1.468904]],
  "forces_ev_per_angstrom": [[0.2920, 0.1169, 0.3570], [2.5948, -0.0188, 0.4566], [3.5815, 1.3817, -2.6525], [0.2811, -1.0010, 0.4068], [-0.1044, 0.0762, -0.0807], [-1.7279, -0.6994, -0.5234], [-0.2169, -0.3077, -0.6793], [-0.1918, -0.6380, 0.2658], [-0.3452, 2.1259, 2.0873], [-1.1681, -0.1366, -0.7915], [-1.0128, -0.0580, -0.3612], [-1.9822, -0.8412, 1.5150]],
  "e_above_lowest_kj_mol": 126.5,
  "homo_energy_ev": -2.8,
  "energy_ev": -5739.86243,
  "total_charge": -1,
  "multiplicity": 1
}

* * * * *

# 1
The following is a quantum chemistry calculation of C4H6N2 as an isolated structure in a non-equilibrium geometry, from the Open Molecules 2025 dataset.

Each line ends with the natural charge from an NBO analysis.
CARTESIAN COORDINATES (ANGSTROEM)
N  -0.9342  0.3002  2.9636  -0.30
C  -0.6120  0.4256  1.8602  0.27
C  -0.2173  0.5428  0.4605  -0.17
C  1.0069  -0.2394  -0.0661  -0.40
C  0.1220  -0.4068  -1.3144  -0.23
N  -1.1069  -0.1380  -0.5182  -0.58
H  -0.1733  1.5996  0.1823  0.23
H  1.9809  0.2671  -0.1474  0.22
H  1.0662  -1.1970  0.4726  0.21
H  0.1321  -1.3448  -1.8687  0.20
H  0.2356  0.4220  -2.0179  0.19
H  -1.4167  -1.0132  -0.0946  0.35

Summary:
spin multiplicity = 1
orbital gap = 10.68 eV
strongest force on any atom = 0.020 Eh/bohr
energy = -7223.89689 eV

=====

# 2
The following is a quantum chemistry calculation of C33H41AsKSb2 as an isolated structure, from the Open Molecules 2025 dataset.

Each line ends with the Löwdin charge.
CARTESIAN COORDINATES (ANGSTROEM)
K  0.3156  -0.1785  0.1016  0.46
C  1.9792  -1.7353  -1.8303  -0.45
C  0.7997  -1.2863  -2.6858  -0.42
C  -0.2484  -2.3691  -2.9190  -0.37
Sb  -1.4054  -2.8779  -1.1637  1.46
C  0.0477  -4.1231  -0.2345  -0.43
C  0.7184  -5.1358  -0.9143  -0.12
C  1.7563  -5.8235  -0.3053  -0.07
C  2.1370  -5.5085  0.9930  -0.08
C  1.4662  -4.5144  1.6884  -0.08
C  0.4254  -3.8291  1.0725  -0.17
C  -2.6388  -4.3481  -2.0334  -0.42
C  -3.0923  -4.2454  -3.3439  -0.13
C  -3.9445  -5.2067  -3.8686  -0.08
C  -4.3498  -6.2764  -3.0863  -0.08
C  -3.9008  -6.3858  -1.7779  -0.08
C  -3.0507  -5.4249  -1.2530  -0.14
Sb  3.3823  -0.1517  -1.3187  1.46
C  3.7357  0.4876  -3.2972  -0.42
C  3.3216  1.7654  -3.6590  -0.15
C  3.4751  2.2127  -4.9647  -0.08
C  4.0464  1.3812  -5.9151  -0.08
C  4.4647  0.1053  -5.5615  -0.07
C  4.3098  -0.3404  -4.2586  -0.12
C  5.0174  -1.4589  -1.0233  -0.42
C  6.3117  -1.0882  -1.3701  -0.13
C  7.3768  -1.9428  -1.1235  -0.08
C  7.1581  -3.1730  -0.5220  -0.08
C  5.8703  -3.5487  -0.1697  -0.08
C  4.8054  -2.6954  -0.4186  -0.14
H  2.5509  -2.5000  -2.3619  0.08
H  1.6712  -2.2371  -0.9045  0.00
H  1.1869  -0.9292  -3.6453  0.11
H  0.3103  -0.3841  -2.2759  0.02
H  0.2098  -3.2790  -3.3108  0.07
H  -0.9710  -2.0271  -3.6632  0.05
H  0.4329  -5.3954  -1.9278  0.11
H  2.2704  -6.6098  -0.8425  0.11
H  2.9469  -6.0491  1.4644  0.11
H  1.7438  -4.2808  2.7080  0.11
H  -0.1119  -3.0741  1.6425  0.08
H  -2.7854  -3.4196  -3.9747  0.09
H  -4.2897  -5.1197  -4.8902  0.11
H  -5.0140  -7.0258  -3.4947  0.11
H  -4.2114  -7.2214  -1.1652  0.11
H  -2.7034  -5.5333  -0.2312  0.10
H  2.8821  2.4288  -2.9210  0.08
H  3.1551  3.2104  -5.2347  0.11
H  4.1720  1.7270  -6.9323  0.11
H  4.9155  -0.5417  -6.3024  0.11
H  4.6477  -1.3357  -3.9914  0.10
H  6.5062  -0.1334  -1.8462  0.10
H  8.3792  -1.6462  -1.4018  0.11
H  7.9900  -3.8366  -0.3288  0.11
H  5.6925  -4.5085  0.2978  0.10
H  3.8081  -3.0197  -0.1383  0.08
*/
• Brief:
Filter the material further up: keep the lines with the word "chemistry", please.
• Done:
The following is a quantum chemistry calculation of C4H6N2 as an isolated structure in a non-equilibrium geometry, from the Open Molecules 2025 dataset.
The following is a quantum chemistry calculation of C33H41AsKSb2 as an isolated structure, from the Open Molecules 2025 dataset.